Work out how many lines below have the word "size" in them; a number is enough.

-- begin --
SbAuSe after structural relaxation, computed with PBE.

Lattice parameters (Å, degrees): 4.8301 4.8301 4.8301 60.00 60.00 60.00
Fractional coordinates of all 3 atoms:
Au 0.5000 0.5000 0.5000
Sb 0.2500 0.2500 0.2500
Se 0.0000 0.0000 0.0000

Its size of the total moment is 0.000 μB per atom. Its calculated volume is 79.68 Å³ per cell. The value obtained for the formation energy without anion corrections is 0.1718 eV/atom.

---

SbAu2Se after structural relaxation, computed with PBE.

Lattice parameters (Å, degrees): 2.9761 4.0785 7.1768 90.00 90.00 90.00
Fractional coordinates of all 4 atoms:
Au 0.0000 0.0000 0.0174
Au 0.5000 0.5000 0.2364
Sb 0.0000 0.0000 0.4521
Se 0.5000 0.5000 0.7942

Its size of the total moment is 0.000 μB per atom. Its calculated volume is 87.11 Å³ per cell. The value obtained for the formation energy without anion corrections is 0.1495 eV/atom.

---

SbAuSe2 after structural relaxation, computed with PBE.

Lattice parameters (Å, degrees): 7.0741 7.0741 7.0741 147.96 147.96 45.94
Fractional coordinates of all 4 atoms:
Au 0.5000 0.5000 0.0000
Sb 0.7500 0.2500 0.5000
Se 0.0000 0.0000 0.0000
Se 0.2500 0.7500 0.5000

Its size of the total moment is 0.000 μB per atom. Its calculated volume is 99.29 Å³ per cell. The value obtained for the formation energy without anion corrections is 0.2400 eV/atom.

---

SbAu2Se after structural relaxation, computed with PBE.

Lattice parameters (Å, degrees): 6.8362 6.8362 6.8362 34.08 34.08 34.08
Fractional coordinates of all 4 atoms:
Sb 0.2500 0.2500 0.2500
Au 0.0020 0.0020 0.0020
Au 0.4980 0.4980 0.4980
Se 0.7500 0.7500 0.7500

Its size of the total moment is 0.000 μB per atom. Its calculated volume is 89.42 Å³ per cell. The value obtained for the formation energy without anion corrections is -0.0243 eV/atom.

---

SbAu2Se after structural relaxation, computed with PBE.

Lattice parameters (Å, degrees): 3.9036 3.9020 5.6827 90.00 90.00 90.00
Fractional coordinates of all 4 atoms:
Au 0.0000 0.0000 0.0023
Au 0.0000 0.0000 0.4977
Sb 0.5000 0.5000 0.2500
Se 0.5000 0.5000 0.7500

Its size of the total moment is 0.000 μB per atom. Its calculated volume is 86.56 Å³ per cell. The value obtained for the formation energy without anion corrections is 0.1656 eV/atom.

---

SbAu2Se after structural relaxation, computed with PBE.

Lattice parameters (Å, degrees): 3.9221 2.9490 7.8546 100.86 90.00 90.00
Fractional coordinates of all 4 atoms:
Au 0.0000 0.8228 0.0187
Au 0.5000 0.4236 0.2268
Sb 0.0000 0.5554 0.4858
Se 0.5000 0.6982 0.7687

Its size of the total moment is 0.000 μB per atom. Its calculated volume is 89.22 Å³ per cell. The value obtained for the formation energy without anion corrections is 0.0237 eV/atom.

---

SbAuSe2 after structural relaxation, computed with PBE.

Lattice parameters (Å, degrees): 6.0597 6.0597 7.9891 67.71 67.71 90.00
Fractional coordinates of all 8 atoms:
Sb 0.5000 0.5000 0.0000
Sb 0.2500 0.7500 0.5000
Au 0.0000 0.0000 0.0000
Au 0.7500 0.2500 0.5000
Se 0.6464 0.1250 0.2500
Se 0.1036 0.6250 0.2500
Se 0.3750 0.3536 0.7500
Se 0.8750 0.8964 0.7500

Its size of the total moment is 0.000 μB per atom. Its calculated volume is 247.60 Å³ per cell. The value obtained for the formation energy without anion corrections is 0.0379 eV/atom.

---

SnSbAuSe after structural relaxation, computed with PBE.

Lattice parameters (Å, degrees): 4.8615 4.8615 11.3873 77.67 77.67 60.00
Fractional coordinates of all 8 atoms:
Sn 0.1063 0.1063 0.6810
Sn 0.8937 0.8937 0.3190
Sb 0.7109 0.7109 0.8674
Sb 0.2891 0.2891 0.1326
Au 0.6195 0.6195 0.1415
Au 0.3805 0.3805 0.8585
Se 0.7960 0.7960 0.6121
Se 0.2040 0.2040 0.3879

Its size of the total moment is 0.000 μB per atom. Its calculated volume is 225.88 Å³ per cell. The value obtained for the formation energy without anion corrections is -0.0894 eV/atom.

---

Th4SbAuSe2 after structural relaxation, computed with PBE.

Lattice parameters (Å, degrees): 6.1253 6.1253 7.4806 114.17 114.17 90.00
Fractional coordinates of all 8 atoms:
-- stop --

8